Thursday, September 29, 2005

*Hillary Duff song*

Well, there isn't much to write about since I have only been up for and hour and 4 minutes. EXACTLY.
Rachel T and Rachel M and I picked the date for the sleepover, I think. Now we just have to figure out what time and whose house it will be at....
Anyways, we might go to park day today. I might post later about that if we actually end up going and anything interesting happens.
I'd better go update the the Passions Blog. You can look at it through the links off to the side over there ----->

Little Miss Goody-Two-Shoes

I'm the teacher's pet in hip-hop (maybe). I'm the only one who knows the dance.... Does that make me a teacher's pet/goody-two-shoes.....?

Tuesday, September 27, 2005

You have got to be kidding me

I am so bored out of my mind right now. I did two (yes, TWO) math lessons today, and watched Passions which was dumb because Ned/Noah and Fancy broke up, and now I am listening to Jacob on the radio, but he barely ever talks, mostly his partner talks.
So I just need to update my xanga, and then I think I will re-read some more of the 4th Harry Potter book. I'm trying to finnish it before the movie comes out so I can be refreshed on it and be able to get mad at the director for adding MORE stuff that wasn't in the book. The director is DEFFININITALLY a Harry/Hermione shipper. And I am DEFFINITALLY a Ron/Hermione shipper, as you might be able to tell from my previous posts. :P
So adios, all. Have a nice day.

Monday, September 26, 2005

My life is so horrible

Why won't Jordan and Woody, Ron and Hermione, and Ned/Noah and Fancy just get over themselves and SNOG!!!!!!!!!!!!!!!!!!!!!!!!!!!!!!!!!!!!!?????????????????????????
Really, it is getting me quite pissed off.
The season permeir of Crossing Jordan was last night. CREEPY KID WAS BACK ON!! YAIY! I heart creepy kid. Woody (*gwaffle gwaffle name joke gwaffle*) was being a dingus head as usual.
Nigel did NOT get a haircut, but was wearing a wig. And Dr. Macy returned. :) :) :)
BAD STUFF: Las Vegas is going to be back on AGAIN DAMN IT! *cuss cuss*
So that is my life right now. G2G right now.

Saturday, September 24, 2005

Mock Trial

We had our first Mock Trial meeting on Thursday, and I forgot to write about it so here goes.
Megan is our leader (YAIY! MEGAN ROCKS!), Danielle, Kyle's mom, is our assistant, and Bea, since she can't be on the team cuz she's in High School, is the assistant assistant.
Our first meeting went really well. Bea and I are the only ones who have been in Mock Trial before, so we had to be split up *tear runs down face*.
Bea was getting really mad because Jack wasn't paying attention... so I'm kinda wary of our chances of winning because Matthew and Jordan weren't playing attention very well either.
I really hope Megan can whip them into shape! (By the way, Bea, am I spelling Megan's name right?)
So hopefully everything will be alright. I found out I'm going to be Direct Examining (DX) the police officer, so I think that means I'll have to enter evidence..... *shudder* And I am also doing the closing *knees knock together*
When we are defence I'll have to Cross Examine (CX) the friend witness and that will be oh so sweet! So wish me luck! I'm really not ALL that nervious about the evendence part, but the Closing sounds REALLY HARD. It'll be alright though. Megan wouldn't have given me the part if she didn't think I could do it! *weak smile*

Friday, September 23, 2005


Yaiy!!! My friend, who shall remain namless, asked her crush out to homecoming and.......
I'm so phyced even though I don't know her crush very well I'm like HDSPIUHWEIOUBQPIB!!!!! YAIY!
So....... that is good. Also, Ned/Noah and Fancy are being dumbasses.

Tuesday, September 20, 2005

Mrs. Bloom-McGregor-Felton-MURPHY!

Yes yes yes.
Name extention.
We saw Batman Begins and there was the HOTTEST GUY EVER IN IT!!!!!!!!!!!!!!!!!!!!!!!!!!!!!! His name is Cillian (pronounced Killian) Murphy. He played the bad guy "Scarecrow".
Very freaky, but OH SO HOTT!!!!!!!!!!!!!!!!!!!!!!!!!!!!!!!!!!!!!!!!!!!!!!!!!!!!!!!!!!!!!!! Thus the name extention. :) :) :) :P
Must try to concentrate on math and not hott actors now...

Friday, September 16, 2005

I know we coo'

So... not really a lot to write about. We are having Bea over today basically for Caroline's birthday party because Caroline doesn't want a big huge party.
We listened to Harry Potter and the Half Blood Prince again last night to get to sleep. MY GAWD WHY WON'T RON AND HERMIONE JUST SNOGG ALREADY???!!!!
Very... not.... funky... in.. that.... area.... of... the.... book....
Also I need Kate to teach me how to get a user picture. *bows down to Kate the blogging GENIOUS* Bea, if I spelled that wrong do not correct me. And don't tell me if I did spell it wrong.
Passions today. In an hour. How sweet is that?

Thursday, September 15, 2005

Bagels. Rock.

To make up for my lack of posts this and last week, I will write one more! Yes, yes, I know you are all excited *crickets chirp*.
Well, turns out, on Passions, Theresa spills the beans tomorrow, so that kinda sucked. However, the always exciting Ned/Noah and Fancy story line was, as always, exciting. (What else could it be? It's Ned/Noah and Fancy!)
So, I am thinking of making a Passions website, prossibly with Bea. So who's with me??? Bea, that means you. Comment. Or call me. *Prod*

"Shimmy down girl!"-Bea

I have decided to use proper captialization on my blog because just plain typing is too unsofisticated (spelled wrong on purpose *wink*).
So... I might be helping teach a little kid's tap class!!!!!!!!! YESSSSSSS!!!!!!!!!!!!!!!! Mr. Jay hasn't gotten back to me on whether I can or not, so I don't know for sure, but I'm crossing my fingers.
Also, Bea, I thought of a better scary movie idea than the Burnham's Lullabye one.
Call me, and I will tell you about it.
Also I CANNOT WAIT FOR PASSIONS TODAY!!!!!!!!!!!!!!!!!!!!!!!!!!!!!!!!!!!!!!!!!! Theresa is going to spill the beans on Gwen to Ethan, and I think Ethan is going to believe her because there is no way they could improve the story line without him believing her.
A cow just mooed really loudly and it scared me. *Animae face and thumbs up*

Thursday, September 08, 2005


if you are a spammer, and you just make your computer send out comments saying "hey, i love your blog! you should come read my blog!" without even reading my blog, do all of us bloggers a favor, and GO AWAY! ESPECIALLY if you blog is about SEX. (read the comments under "nincompoop" and you will see what i mean).
ok. i know i said blog a lot there, but i had to get that out. *sigh*
but please, DO just go away.


guess what yall??? i'm taking TWO extra dance classes! ballet/lyrical and hip-hop, as well as tap and jazz.
omigosh it is so fun!

Tuesday, September 06, 2005


my computer is such a peice of garbage. i hate it so much. luckily we are going to move up the basement computer! YAIY!
also i want to thank all the people that like my blog. you're comments are so nice. they make my day. and so does dancing. WHICH IS TONIGHT!!!! YAIY!!!!!!!!!!!!!!!!!!!!

The entry is interrupted by calculated molecules:
********
Computed, not measured: a structure of composition C10H27ClIO2P2PbS in a non-equilibrium geometry, with the ωB97M-V functional and the def2-TZVPD basis.

For the HOMO-LUMO gap (alpha / beta), the calculation gives 4.41 / 4.11 eV. The net charge is +3. As for the relative energy (zero: lowest compared OMol25 entry of this formula, charge and spin): 0.0 kJ/mol.

The geometry in XYZ format:
```
45
Properties=species:S:1:pos:R:3:forces:R:3
C -3.363476 -5.656697 -1.916067 0.2 0.3 0.2
C -2.821324 -4.692416 -0.889001 -1.2 -1.5 3.1
H -3.899013 -6.479078 -1.447921 0.0 0.1 0.3
H -2.524844 -6.052210 -2.496547 -0.1 0.1 0.0
H -4.040939 -5.111698 -2.580090 0.1 0.0 0.0
O -2.863155 -4.640679 0.302715 0.6 0.6 -3.8
I -1.726129 -3.077407 -2.184173 0.1 0.3 0.4
Pb -0.862035 -1.482906 0.147166 0.2 0.2 -0.6
P -2.085881 1.413044 0.082864 -2.3 3.2 -0.5
C -2.669901 2.384128 1.527966 0.9 -0.8 0.8
C -1.761326 2.744900 -1.126167 1.2 -0.4 -0.4
H -2.703432 3.256758 -1.383538 0.1 -0.4 0.3
H -4.363544 1.519282 -0.746803 0.4 -0.1 0.1
H -1.320796 2.297670 -2.026769 -0.2 0.3 0.1
H -3.423127 0.176908 -1.518733 -0.2 0.3 0.1
H -1.894519 3.094253 1.835856 -0.2 -0.2 -0.1
H -1.046176 3.477172 -0.727849 -0.3 -0.3 0.0
C -3.635965 0.708775 -0.578332 0.4 -1.5 0.0
H -3.601317 2.915172 1.283691 0.2 -0.3 -0.3
H -4.045252 -0.023386 0.134745 -0.1 0.3 -0.2
H -2.838914 1.686416 2.354871 -0.2 0.3 0.1
P 2.231034 -1.341428 0.341217 4.1 -0.6 0.1
C 3.209554 -1.345437 1.888278 -1.4 0.6 0.8
C 2.362455 -3.058591 -0.243538 -1.6 -0.5 -0.2
H 2.908958 -0.389302 -1.768724 0.3 0.0 0.1
H 4.316790 -1.075514 -0.878263 -0.4 -0.1 0.2
H 3.615471 0.507880 -0.407309 -0.1 -0.3 0.0
C 3.384997 -0.495393 -0.788291 -0.9 1.0 -0.5
H 1.880923 -3.142471 -1.232571 0.4 -0.1 0.2
H 3.427404 -3.342475 -0.304862 -0.3 0.3 0.1
H 4.178732 -1.846269 1.741850 -0.3 0.0 -0.4
H 2.628762 -1.857519 2.663528 0.3 0.0 0.0
H 1.829750 -3.733350 0.447610 0.4 0.1 -0.2
H 3.342409 -0.302538 2.209663 0.0 -0.3 -0.1
Cl 0.089996 -0.126893 -1.855501 -0.2 -0.2 0.7
C 1.740073 4.108654 2.133589 -0.2 -0.2 0.0
S 0.996158 2.703566 1.265400 1.3 0.0 -0.2
C 1.909870 2.887997 -0.289632 -0.2 0.5 -0.1
O 1.555756 1.449795 1.893791 -0.4 -0.3 -0.3
H 1.531667 5.020860 1.568023 -0.1 -0.1 0.1
H 2.822296 3.951060 2.221817 -0.3 -0.1 -0.1
H 1.277833 4.152110 3.122014 0.1 0.1 -0.1
H 1.716322 3.902187 -0.684923 0.1 -0.5 0.1
H 2.986703 2.780038 -0.089844 -0.4 0.0 0.0
H 1.547154 2.135033 -1.001202 0.1 0.2 0.2
```
Positions in Å, forces in eV/Å.

Computed, not measured: a cluster of 3 separate species, C10H27N3O2PS in total, with the ωB97M-V functional and the def2-TZVPD basis.

For the HOMO-LUMO gap, the calculation gives 7.67 eV. The net charge is +1.

The geometry in XYZ format:
```
44
Properties=species:S:1:pos:R:3:forces:R:3
C -0.135954 0.823432 -3.024879 0.1 0.1 0.0
C -0.647435 -0.303148 -2.116947 0.0 0.0 0.0
C 0.452047 -1.165658 -1.507999 -0.1 -0.1 0.1
C 1.201615 -2.000445 -2.540814 -0.1 -0.1 -0.2
N 1.462984 -0.278562 -0.772133 0.1 0.1 0.0
********

Monday, September 05, 2005


i am SO TIRED. we spent the night at bea's house with kate and alice and watched most of harry potter and the prisoner of azkaban and all of raise your voice (TOTALLY JUST TO MAKE FUN OF HILLARY DUFF).
it was hilarious. and we stayed up till 3:15 and i am paying for it now.
i have to take a shower folks. have a happy memorial day.

Saturday, September 03, 2005

kid: I LOVE TOSTINOS! maddie: *stabs*

i got stung by a bee while mowing today. man it hurt like s***.now i'm going to have a huge red welt on the top of my head for the barn dance! which.... certain people... are going to.
a mel brooks movie is on now. i think i'll watch that.
ooh. i just realized. it's going to hurt REALLY BAD when i wash my hair.

Friday, September 02, 2005


someone commented on my last entry and this is what they said.

I stopped in at your blog today and I was wondering if you could help spread the word?It's about Hurricane Katrina. Katrina hit the southern United States this week. One million people lost their homes, their jobs, and a few lost their lives.I was reading today and surfing around looking for more information on news that I just received about Green Day, Alicia Keys, Dave Matthews and Usher have signed on (with other recording artists) for a Hurricane Katrina relief concert.The concert will air live on MTV, VH1 and CMT; proceeds go to the Red Cross.Anyway, if you're interested in music files you might like this site for mp3 music, it's one of my favorites...

so here i am spreading the word. and maybe, if "music" ( the person that wrote this comment) stops by again, could he/she tell us other things we could do to help???

swim meet

caroline had a swim meet. she did really well. i got to see max.... which was good......*wink* also, dad drove home WITHOUT HIS GLASSES IN THE DARK!!!!!!!!!!!!!!!!!
how freaky is that?

Thursday, September 01, 2005


bea had a bat in her house last night. how freaky is that?????? you can look at her blog there.